Andrew Harrison Debbie Greenfield Visit, July 2 nd 2008 The Institut Laue-Langevin The Institut Laue Langevin a 10 minute introduction Andrew Harrison Director General
Andrew Harrison Debbie Greenfield Visit, July 2 nd 2008 The Institut Laue-Langevin The Institut Laue Langevin a 10 minute introduction Replaced by: Trevor Forsyth Senior Fellow and Head of Life Sciences Group
I dea proposed in 1964 Laboratory funding agreed in 1967 by France and Germany Reactor first critical in 1971; first researchers in 1972 – 58 MW Un peu d’histoire
Evolution of ILL as world leader World-leader for 35 years. Why? –Very high flux - 58 MW – plus hot (2700 K) and cold (20 K) sources
Evolution of ILL as world leader World-leader for 35 years. Why? –Very high flux - 58 MW – plus hot (2700 K) and cold (20 K) sources –Efficient neutron guides
Evolution of ILL as world leader World-leader for 35 years. Why? –Very high flux - 58 MW – plus hot (2700 K) and cold (20 K) sources –Efficient neutron guides –Strong culture of instrumental development
Andrew Harrison Debbie Greenfield Visit, July 2 nd 2008 A magnet for other facilities
Role of ILL in Europe Associates (owners): France, Germany, UK Scientific Partners –Spain1987 –Switzerland 1988 –Austria 1990 –Russia 1996 –Italy 1997 –Czech Rep 1999 –Sweden,Hungary 2005 –Belgium, Poland 2006 Now cover 94% of EU Grenoble
Andrew Harrison Debbie Greenfield Visit, July 2 nd 2008 Demand for beam-time Demand for beam-time through peer-reviewed panels rising In 2006 (reactor running for 200 days; 75% to users) –623 experiments on 25 ILL-funded and 9 CRG instruments –1500 visitors from 36 countries –Approximately 450 publications p.a.
National balance: access to beamtime Beamtime allocation broadly reflects share of financial support by country countryallocated days allocated in % AT47,841,47 BE35,521,09 CH102,923,15 CZ30,520,93 DE735,5722,53 ES217,106,65 FR873,6626,75 GB772,3523,65 HU7,610,23 IT230,847,07 RU172,525,28 SE39,041,20 total3265,50100,00 Nationality of ILL users (2006) National distribution of beam-time allocated through peer review in 2006
National balance: staff
Unrelated to this article: data records =
********
(1)
{
  "formula": "LuS2",
  "functional": "r2SCAN",
  "state": "optimized geometry",
  "lattice": [[3.784, 0.000, 0.000], [0.000, 3.784, 0.000], [0.000, 0.000, 7.766]],
  "species": ["S", "S", "S", "S", "Lu", "Lu"],
  "fractional_positions": [[0.250, 0.250, 0.631], [0.750, 0.250, 0.000], [0.750, 0.750, 0.369], [0.250, 0.750, 0.000], [0.750, 0.750, 0.727], [0.250, 0.250, 0.273]],
  "sg": "No. 129",
  "dft_energy_ev_per_atom": -19.877,
  "ef_ev_per_atom": -1.828
}



(2)
{
  "formula": "Sn15Ru3O14",
  "functional": "r2SCAN",
  "state": "optimized geometry",
  "lattice": [[0.000, -7.121, 0.000], [-6.232, -3.561, -0.001], [-2.091, -3.561, -12.329]],
  "species": ["O", "O", "O", "O", "O", "O", "O", "O", "O", "O", "O", "O", "O", "O", "Sn", "Sn", "Sn", "Sn", "Sn", "Sn", "Sn", "Sn", "Sn", "Sn", "Sn", "Sn", "Sn", "Sn", "Sn", "Ru", "Ru", "Ru"],
  "fractional_positions": [[0.237, 0.837, 0.182], [0.958, 0.074, 0.010], [0.624, 0.695, 0.057], [0.818, 0.943, 0.886], [0.423, 0.566, 0.588], [0.979, 0.003, 0.593], [0.424, 0.003, 0.593], [0.343, 0.944, 0.369], [0.353, 0.943, 0.886], [0.122, 0.715, 0.466], [0.744, 0.837, 0.182], [0.225, 0.802, 0.748], [0.696, 0.715, 0.466], [0.122, 0.282, 0.475], [0.095, 0.150, 0.659], [0.681, 0.751, 0.888], [0.489, 0.082, 0.426], [0.909, 0.500, 0.161], [0.578, 0.674, 0.653], [0.902, 0.018, 0.178], [0.151, 0.778, 0.919], [0.003, 0.082, 0.426], [0.095, 0.674, 0.653], [0.673, 0.270, 0.911], [0.487, 0.606, 0.419], [0.443, 0.988, 0.125], [0.015, 0.589, 0.381], [0.146, 0.270, 0.911], [0.429, 0.500, 0.161], [0.885, 0.463, 0.768], [0.698, 0.299, 0.306], [0.289, 0.387, 0.034]],
  "sg": "No. 8",
  "dft_energy_ev_per_atom": -17.906,
  "ef_ev_per_atom": -1.309
}



(3)
{
  "formula": "PmTm",
  "functional": "r2SCAN",
  "state": "optimized geometry",
  "lattice": [[-2.827, 1.673, 1.535], [2.413, -1.747, 2.066], [3.155, 4.905, 0.464]],
  "species": ["Tm", "Pm"],
  "fractional_positions": [[0.000, 0.000, 0.000], [0.333, 0.667, 0.500]],
  "sg": "No. 187",
  "dft_energy_ev_per_atom": -32.307,
  "ef_ev_per_atom": 0.024
}



(4)
{
  "formula": "Nd2Co3",
  "functional": "r2SCAN",
  "state": "optimized geometry",
  "lattice": [[4.828, 0.000, 0.000], [-2.413, 5.105, 0.000], [0.000, 0.000, 7.861]],
  "species": ["Nd", "Nd", "Nd", "Nd", "Co", "Co", "Co", "Co", "Co", "Co"],
  "fractional_positions": [[0.842, 0.685, 0.591], [0.158, 0.315, 0.409], [0.658, 0.315, 0.091], [0.342, 0.685, 0.909], [0.000, 0.000, 0.000], [0.180, 0.860, 0.250], [0.500, 0.000, 0.500], [0.680, 0.860, 0.250], [0.820, 0.140, 0.750], [0.320, 0.140, 0.750]],
  "sg": "No. 64",
  "dft_energy_ev_per_atom": -19.726,
  "ef_ev_per_atom": -0.018
}



(5)
{
  "formula": "K2Ga2As3",
  "functional": "r2SCAN",
  "state": "optimized geometry",
  "lattice": [[-1.336, 6.626, 0.179], [-7.229, -1.773, 11.664], [12.967, 2.385, 8.525]],
********
End of the data records =
Staff: how we are organised Divisions –Science; Projects and Techniques; Reactor; Administration
The changing facilities landscape
Staying ahead: the Millennium Programme Strong endorsement of strategy from Associates Additional funding (+2M€ p.a.) promised for next 6 years –*** amount in this period total –But NB – this is only equivalent to 1 instrument pa renewal IN5 – x 60 gain Largest linear PSD in world for neutrons D7 x 50 World’s most efficient 3 He spin filter
Andrew Harrison Site development PSCM new site entrance and training centre conferences training outreach restaurant extension creche deliveries and distribution Partnership for Structural Biology (PSB) IBS2
Andrew Harrison ILL Subcommittee Meeting – 4-5 th November 2008 Presqu’ile Scientifique 10 years from now?
Andrew Harrison Debbie Greenfield Visit, July 2 nd 2008